Leaving my family behind meNot knowing what lay aheadWaving goodbye, as I left them in tearsRemembering all we'd saidI looked to the sky, I offered my prayersI asked Him for guidance and strengthBut the simple beliefs of a simple manLay in His hands, and .. Read »
Lirik lagu Desafinado (portuguese) George Michael
Se você disser que eu desafino amorSaiba que isto em mim provoca imensa dorSó previlegiados têm ouvido igual ao seuEu possuo apenas o que Deus me deuSe você insiste em classificarComo o meu comportamento de anti-musicalNo lhes vou mentir, até vou comentar.. Read »
Lirik lagu Deadwood Garbage
Deadwood if you care to listenLooks the same but there's something missingIt wears me outStripped bare I'm the same old savageI always claimed did we ever manageIt's not enoughLook me in the eyeI'm about to diveCan you live your lifeWithout meI don't need.. Read »
Lirik lagu Dry Run Ghoti Hook
Chicken legs and scrambled eggsPotato chips in onion dipAre things I eat for breakfast everydayHoney ham and soggy spamJimmy dean with refried beansHelp me to get started on my wayBoys and girls, you better be cautious And you know my face is turning gree.. Read »
Lirik lagu Desafinado (english) George Michael
If you say my singing is off key, my loveYou would hurt my feelings, don't you see, my love ?I wish I had an ear like yours,A voice that would behaveAll I have is feelingAnd the voice God gaveYou insist my music goes against the rulesYes, but rules were n.. Read »
Lirik lagu Dreaming While You Sleep Genesis
In and out of darkness, in and out of sleepTrying to keep my hands upon the wheelNever saw the corner in the driving rainI never saw her step into the streetDreaming while you sleepDreaming while you sleepMemories to keepDreaming while you sleepI can neve.. Read »
Lirik lagu Don't Hate Me Get Up Kids
Forgive me for running off to find the one things I have to doeach night you can fall asleep assured that somedayI'll be comeing home to youthese constant reminders in everything I seethe chance of a lifetime...what a great place to beoh Amydon't hate me .. Read »
Lirik lagu Don't Get Any Better Geri Halliwell
Take a road where imperfection'sNever where you feel the pinch around the middleMakes you lose the beatAnd then you're stepping out of timeUnderneath my clothes there lies a riddleFix my tits, my ass or live a littleGot me thinking twiceA girl's allowed t.. Read »
Lirik lagu Domino--the Last Domino Genesis
In silence and darknessWe held each other near that nightWe prayed it would last foreverBlood on the windowsMillions of ordinary people are thereThey gaze at the sceneryThey act as if it is perfectly clearTake a look at the mountainsTake a look at the bea.. Read »
[These crystal structures were left in the text by mistake]
+++
Cs3IO4, relaxed, DFT PBE; density of states at the Fermi level = 0.0 states/eV/cell; space group = Imm2, No. 44; relative energy among the computed polymorphs = 0 meV per atom; uncorrected formation energy = -8.97 eV/f.u.; total moment = 0.0 Bohr magnetons per cell; density = 4.6 g/cm³
1.0
-3.3217 4.9622 3.1986
3.3217 -4.9622 3.1986
3.3217 4.9622 -3.1986
Cs I O
3 1 4
direct
0.0000 0.0000 0.0000
0.2474 0.4947 0.7527
0.7420 0.4947 0.2473
0.4934 0.9934 0.5000
0.2794 0.9781 0.3013
0.6748 0.3951 0.7203
0.6748 0.9545 0.2797
0.6769 0.9781 0.6987

----------

The following is a DFT calculation (GGA-PBE) of CeCdGaPd3 after structural relaxation.

abc: 7.067 7.067 5.829
angles: 90.00 90.00 120.69
Element x y z (fractional)
Ce  0.186  0.814  0.750
Ce  0.814  0.186  0.250
Cd  0.436  0.564  0.750
Cd  0.564  0.436  0.250
Ga  0.130  0.870  0.250
Ga  0.870  0.130  0.750
Pd  0.198  0.198  0.000
Pd  0.198  0.198  0.500
Pd  0.332  0.668  0.250
Pd  0.668  0.332  0.750
Pd  0.802  0.802  0.000
Pd  0.802  0.802  0.500

- Electronic total energy: -4.65 eV per atom
- Formation energy from the elements: -0.412 eV per atom

----------

# 1
Material: MnHgCl2
Method: DFT, PBE-GGA
State: relaxed

Summary:
Space group: F-43m (216)
Magnetization: 5.0 Bohr magnetons per cell
Uncorrected formation energy: 0.02 eV per atom
Distance to the lowest polymorph of the same formula: 808 meV per atom

The structure in POSCAR format:
```
MnHgCl2
1.0
4.989 0.000 0.000
2.495 4.321 0.000
2.495 1.440 4.074
Mn Cl Hg
1 2 1
Direct
0.750 0.750 0.750 Mn
0.250 0.250 0.250 Cl
0.000 0.000 0.000 Cl
0.500 0.500 0.500 Hg
```

***

# 2
Material: MnHgCl2
Method: DFT, PBE-GGA
State: relaxed

Summary:
Space group: P2/m (10)
Magnetization: 5.0 Bohr magnetons per cell
Uncorrected formation energy: -0.65 eV per atom
Distance to the lowest polymorph of the same formula: 137 meV per atom

The structure in POSCAR format:
```
MnHgCl2
1.0
3.477 0.000 0.000
0.000 4.091 0.006
0.000 1.692 9.271
Hg Cl Mn
1 2 1
Direct
0.500 0.250 0.250 Hg
0.000 0.906 0.904 Cl
0.000 0.594 0.596 Cl
0.500 0.750 0.750 Mn
```

***

# 3
Material: MnHgCl2
Method: DFT, PBE-GGA
State: relaxed

Summary:
Space group: C2/m (12)
Magnetization: 5.0 Bohr magnetons per cell
Uncorrected formation energy: -0.79 eV per atom
Distance to the lowest polymorph of the same formula: 0 meV per atom

The structure in POSCAR format:
```
MnHgCl2
1.0
-3.186 -0.636 1.753
-1.165 -3.465 0.515
3.623 -1.530 9.404
Hg Cl Mn
1 2 1
Direct
0.750 0.750 0.750 Hg
0.543 0.543 0.389 Cl
0.957 0.957 0.111 Cl
0.250 0.250 0.250 Mn
```

***

# 4
Material: Mn2Hg2Cl7
Method: DFT, PBE-GGA
State: relaxed

Summary:
Space group: P-1 (2)
Magnetization: 9.0 Bohr magnetons per cell
Uncorrected formation energy: -0.83 eV per atom

The structure in POSCAR format:
```
Mn2Hg2Cl7
1.0
-2.059 7.720 -0.968
-8.429 -3.344 3.596
-3.360 -0.012 5.183
Cl Mn Hg
7 2 2
Direct
0.112 0.528 0.742 Cl
0.214 0.027 0.469 Cl
0.786 0.973 0.531 Cl
0.888 0.472 0.258 Cl
0.656 0.502 0.749 Cl
0.344 0.498 0.251 Cl
+++
Lirik lagu Don't Call Me Baby Geri Halliwell
Do you think about me, like I think about you, as these nights grow colder,do you think about us or the love that was lost looking back as we growolder.Would you cry if I die, either way nothing changes, and just remember.Don't call me baby, baby just bec.. Read »